-- begin --
Diffraction record for FeTeSe. The powder XRD pattern is theoretical, not measured: it uses a structure optimized by DFT (GGA-PBE) and λ = 1.5418 Å (Cu Kα).
Kinematic intensities with the Lorentz-polarization factor, no thermal factor.

Atomic structure:
Lattice parameters (Å, degrees): 3.742 5.022 6.012 90.00 90.00 90.00
Space group Pmn2_1 (No. 31)
Asymmetric unit:
Fe 0.000 0.236 0.000
Te 0.000 0.471 0.367
Se 0.000 0.029 0.638

Top 8 peaks for 10° ≤ 2θ ≤ 80°, sorted by position:
- 28.1 deg, intensity 22, hkl 1 0 1
- 29.8 deg, intensity 31, hkl 1 1 0
- 33.4 deg, intensity 100, hkl 1 1 1
- 34.8 deg, intensity 74, hkl 0 1 2
- 46.1 deg, intensity 58, hkl 1 2 1
- 48.7 deg, intensity 24, hkl 2 0 0
- 51.7 deg, intensity 31, hkl 1 0 3
- 61.2 deg, intensity 28, hkl 2 1 2

=====

Diffraction record for Al5Ni. The powder XRD pattern is theoretical, not measured: it uses a structure optimized by DFT (GGA-PBE) and λ = 1.5418 Å (Cu Kα).
Kinematic intensities with the Lorentz-polarization factor, no thermal factor.

Atomic structure:
Lattice parameters (Å, degrees): 5.2611 5.2611 15.3780 90.00 90.00 120.00
Space group P6_3/mmc (No. 194)
Asymmetric unit:
Al 0.0000 0.0000 0.0918
Al 0.0000 0.5000 0.0000
Al 0.1651 0.3302 0.2500
Al 0.3333 0.6667 0.6590
Ni 0.3333 0.6667 0.1240

Top 8 peaks for 10° ≤ 2θ ≤ 80°, sorted by position:
- 20.3 deg, intensity 39, hkl 1 0 1
- 34.1 deg, intensity 46, hkl 1 1 0
- 40.4 deg, intensity 22, hkl 1 0 6
- 41.3 deg, intensity 37, hkl 2 0 2
- 41.6 deg, intensity 100, hkl 1 1 4
- 43.5 deg, intensity 28, hkl 2 0 3
- 66.2 deg, intensity 24, hkl 3 0 4
- 71.8 deg, intensity 23, hkl 2 2 0

----------

Diffraction record for Li5Mn6B6O18. The powder diffractogram is simulated, not measured: it uses a crystal structure in the Materials Project, relaxed with GGA+U and Cu Kα, 1.54184 Å.
Peak positions follow from Bragg's law for the DFT cell and can differ from measured ones.

Largest 10 diffraction maxima, by intensity, 10° ≤ 2θ ≤ 90°:
(2 -2 0), 2θ = 33.72°, d 2.658, I 100; (1 1 -1), 2θ = 20.24°, d 4.388, I 90; (1 0 1), 2θ = 22.59°, d 3.936, I 72; (0 2 2), 2θ = 40.70°, d 2.217, I 59; (1 0 -2), 2θ = 21.95°, d 4.050, I 45; (1 2 0), 2θ = 34.12°, d 2.628, I 34; (0 0 3), 2θ = 33.98°, d 2.639, I 31; (1 1 -4), 2θ = 39.86°, d 2.261, I 27; (1 2 -3), 2θ = 34.55°, d 2.596, I 27; (0 1 -2), 2θ = 20.74°, d 4.284, I 26

Structure:
```
data_Li5Mn6B6O18
_cell_length_a 6.2269
_cell_length_b 7.8691
_cell_length_c 9.0748
_cell_angle_alpha 109.22
_cell_angle_beta 106.86
_cell_angle_gamma 101.30
_symmetry_space_group_name_H-M 'P 1'
_symmetry_Int_Tables_number 1
loop_
_symmetry_equiv_pos_as_xyz
'x,y,z'
loop_
_atom_site_label
_atom_site_fract_x
_atom_site_fract_y
_atom_site_fract_z
Li1 0.0000 0.0000 0.0000
Li2 0.0153 0.6808 0.5664
Li3 0.3159 0.3473 0.6649
Li4 0.6554 0.6784 0.3254
Li5 0.6811 0.3467 0.9000
Mn1 0.0625 0.6556 0.2238
Mn2 0.2741 0.3802 0.9981
Mn3 0.3972 0.9740 0.9074
Mn4 0.6078 0.7112 0.6637
Mn5 0.7016 0.2948 0.5464
Mn6 0.9644 0.0618 0.3383
B1 0.0343 0.6384 0.8862
B2 0.2804 0.3780 0.3278
B3 0.3585 0.9904 0.5722
B4 0.6267 0.7113 0.9990
B5 0.7330 0.3201 0.2296
B6 0.9542 0.0351 0.6623
O1 0.0783 0.0972 0.8344
O2 0.1173 0.1998 0.2250
O3 0.1822 0.8205 0.9838
O4 0.2055 0.9373 0.4042
O5 0.3298 0.5094 0.2590
O6 0.3369 0.8572 0.6409
O7 0.4026 0.4266 0.4985
O8 0.4778 0.5259 0.9012
O9 0.5176 0.1706 0.6647
O10 0.5912 0.2593 0.0608
O11 0.6666 0.8359 0.9227
O12 0.7230 0.1892 0.3059
O13 0.7516 0.7758 0.1721
O14 0.8037 0.8523 0.5630
O15 0.8666 0.5080 0.3277
O16 0.9094 0.5753 0.7127
O17 0.9912 0.1625 0.5858
O18 0.9970 0.5130 0.9639
```

----------

Diffraction record for CsGeAu3. The XRD peak list is theoretical, not measured: it uses a PBE-relaxed structure and Cu Kα, 1.54184 Å.
Kinematic intensities with the Lorentz-polarization factor, no thermal factor.

The 10 most intense peaks (2θ from 5° to 70°), low angle first:
d/Å  2theta  I/Imax  (hkl)
5.114  17.3  31  1 0 1
3.005  29.7  90  0 1 2
2.901  30.8  67  2 1 0
2.557  35.1  100  2 0 2
-- stop --

Could you count the lines further above that contain the word "crystal" and give the number alone?

1